What to do =
Repeat all of the contents below without altering anything.

Contents =
____________
1.
Below is an optimized crystal structure of K2VCdAg, with properties calculated at the PBE level.

Structure (POSCAR):
```
K2VCdAg
1.0
-3.3603 2.3979 -4.7635
1.0213 -4.2828 -2.8763
-5.1906 -2.7628 2.2708
Ag V K Cd
1 1 2 1
Cartesian
0.0000 0.0000 0.0000
0.5106 -2.1414 -1.4382
-2.5953 -1.3814 1.1354
-1.6801 1.1989 -2.3817
-3.7648 -2.3239 -2.6845
```

## Properties
- DOS(E_F) (states/eV per atom) = 1.122
- space-group type = P4/mmm
- volume (Å³/cell) = 209
- formation energy (eV per atom) = 0.72

2.
Below is an optimized crystal structure of CaPm2As, with properties calculated at the PBE level.

Structure (POSCAR):
```
CaPm2As
1.0
-2.2118 0.2610 -3.4102
-3.4147 -0.3975 2.1843
-0.3275 6.8686 0.7381
As Pm Ca
1 2 1
Cartesian
-2.8132 -0.0683 -0.6130
-0.0722 1.5137 0.1627
-0.2553 5.3549 0.5754
-2.9770 3.3660 -0.2439
```

## Properties
- DOS(E_F) (states/eV per atom) = 1.230
- space-group type = P4/mmm
- volume (Å³/cell) = 115
- formation energy (eV per atom) = -0.47

3.
Below is an optimized crystal structure of Y3Er4Th5, with properties calculated at the PBE level.

Structure (POSCAR):
```
Y3Er4Th5
1.0
5.9360 0.0000 0.0000
2.9680 6.2858 0.9492
2.9680 5.9959 11.4221
Y Er Th
3 4 5
Cartesian
2.9680 1.8243 2.5869
2.9680 6.1409 6.1856
8.9040 10.4575 9.7844
5.9360 3.0239 4.7067
2.9680 4.9922 3.4665
8.9040 7.2895 8.9048
5.9360 9.2579 7.6646
5.9360 4.9123 1.7982
5.9360 7.3694 10.5731
5.9360 1.7521 0.8775
5.9360 10.5297 11.4938
5.9360 6.1409 6.1856
```

## Properties
- DOS(E_F) (states/eV per atom) = 1.639
- space-group type = C2/m
- volume (Å³/cell) = 392
- formation energy (eV per atom) = 0.35

4.
Below is an optimized crystal structure of Tl2VSnCl6, with properties calculated at the PBE level.

Structure (POSCAR):
```
Tl2VSnCl6
1.0
7.2605 0.0000 0.0000
0.0000 7.7099 0.0000
0.0000 0.0000 10.5240
Tl Cl Sn V
4 12 2 2
Cartesian
3.6302 6.1817 2.2540
0.0000 1.5282 3.0080
3.6302 6.1817 8.2700
0.0000 1.5282 7.5160
5.3901 0.0247 5.2620
1.8704 0.0247 5.2620
3.6302 1.7070 2.7843
3.6302 1.7070 7.7398
0.0000 6.0029 8.0463
1.8409 3.4878 5.2620
1.7893 4.2221 0.0000
5.4711 4.2221 0.0000
0.0000 6.0029 2.4778
5.4196 3.4878 5.2620
5.5006 7.6852 0.0000
1.7599 7.6852 0.0000
3.6302 2.1868 0.0000
0.0000 5.5231 5.2620
3.6302 1.7796 5.2620
0.0000 5.9303 0.0000
```

## Properties
- space-group type = Pmmn
- raw formation energy (eV/atom) = -1.02
- volume (Å³/cell) = 589

5.
Below is an optimized crystal structure of VOsRh2, with properties calculated at the PBE level.

Structure (POSCAR):
```
VOsRh2
1.0
3.8599 0.0000 0.0000
0.0000 3.7951 0.0000
0.0000 0.0000 3.7951
Rh V Os
2 1 1
Cartesian
0.0000 0.0000 1.8975
0.0000 1.8975 0.0000
1.9300 0.0000 0.0000
1.9300 1.8975 1.8975
```

## Properties
- DOS(E_F) (states/eV per atom) = 0.849
- space-group type = P4/mmm
- volume (Å³/cell) = 56
- formation energy (eV per atom) = -0.26

6.
Below is an optimized crystal structure of Cu2SbPdS4, with properties calculated at the PBE level.

Structure (POSCAR):
```
Cu2SbPdS4
1.0
-4.5348 2.9888 -0.9095
-3.0819 -4.5384 0.4785
3.3236 1.6683 5.5682
S Cu Pd Sb
4 2 1 1
Cartesian
1.6375 1.0540 4.0017
-4.3208 1.4378 0.8847
-3.5609 -2.4990 1.6106
-2.3418 0.2444 3.7765
-1.7833 -1.8224 2.9162
-2.5098 1.9412 2.2222
-0.0001 0.0001 0.0007
-3.8085 -0.7745 -0.2134
```

## Properties
- DOS(E_F) (states/eV per atom) = 0.624
- space-group type = I-42m
- raw formation energy (eV/atom) = -0.16
- volume (Å³/cell) = 165

7.
Below is an optimized crystal structure of MnCdTc, with properties calculated at the PBE level.

Structure (POSCAR):
```
MnCdTc
1.0
-0.3495 0.3436 -4.1852
1.0794 -3.2335 -2.4770
-2.9751 -2.1678 -2.0508
Mn Tc Cd
1 1 1
Cartesian
-1.6839 -3.7933 -6.5347
0.0000 0.0000 0.0000
-1.1226 -2.5289 -4.3565
```

## Properties
- DOS(E_F) (states/eV per atom) = 0.445
- space-group type = F-43m
- volume (Å³/cell) = 53
- formation energy (eV per atom) = 0.67

8.
Below is an optimized crystal structure of Ti2TcGe3, with properties calculated at the PBE level.

Structure (POSCAR):
```
Ti2TcGe3
1.0
____________

Here it is =
1.
Below is an optimized crystal structure of K2VCdAg, with properties calculated at the PBE level.

Structure (POSCAR):
```
K2VCdAg
1.0
-3.3603 2.3979 -4.7635
1.0213 -4.2828 -2.8763
-5.1906 -2.7628 2.2708
Ag V K Cd
1 1 2 1
Cartesian
0.0000 0.0000 0.0000
0.5106 -2.1414 -1.4382
-2.5953 -1.3814 1.1354
-1.6801 1.1989 -2.3817
-3.7648 -2.3239 -2.6845
```

## Properties
- DOS(E_F) (states/eV per atom) = 1.122
- space-group type = P4/mmm
- volume (Å³/cell) = 209
- formation energy (eV per atom) = 0.72

2.
Below is an optimized crystal structure of CaPm2As, with properties calculated at the PBE level.

Structure (POSCAR):
```
CaPm2As
1.0
-2.2118 0.2610 -3.4102
-3.4147 -0.3975 2.1843
-0.3275 6.8686 0.7381
As Pm Ca
1 2 1
Cartesian
-2.8132 -0.0683 -0.6130
-0.0722 1.5137 0.1627
-0.2553 5.3549 0.5754
-2.9770 3.3660 -0.2439
```

## Properties
- DOS(E_F) (states/eV per atom) = 1.230
- space-group type = P4/mmm
- volume (Å³/cell) = 115
- formation energy (eV per atom) = -0.47

3.
Below is an optimized crystal structure of Y3Er4Th5, with properties calculated at the PBE level.

Structure (POSCAR):
```
Y3Er4Th5
1.0
5.9360 0.0000 0.0000
2.9680 6.2858 0.9492
2.9680 5.9959 11.4221
Y Er Th
3 4 5
Cartesian
2.9680 1.8243 2.5869
2.9680 6.1409 6.1856
8.9040 10.4575 9.7844
5.9360 3.0239 4.7067
2.9680 4.9922 3.4665
8.9040 7.2895 8.9048
5.9360 9.2579 7.6646
5.9360 4.9123 1.7982
5.9360 7.3694 10.5731
5.9360 1.7521 0.8775
5.9360 10.5297 11.4938
5.9360 6.1409 6.1856
```

## Properties
- DOS(E_F) (states/eV per atom) = 1.639
- space-group type = C2/m
- volume (Å³/cell) = 392
- formation energy (eV per atom) = 0.35

4.
Below is an optimized crystal structure of Tl2VSnCl6, with properties calculated at the PBE level.

Structure (POSCAR):
```
Tl2VSnCl6
1.0
7.2605 0.0000 0.0000
0.0000 7.7099 0.0000
0.0000 0.0000 10.5240
Tl Cl Sn V
4 12 2 2
Cartesian
3.6302 6.1817 2.2540
0.0000 1.5282 3.0080
3.6302 6.1817 8.2700
0.0000 1.5282 7.5160
5.3901 0.0247 5.2620
1.8704 0.0247 5.2620
3.6302 1.7070 2.7843
3.6302 1.7070 7.7398
0.0000 6.0029 8.0463
1.8409 3.4878 5.2620
1.7893 4.2221 0.0000
5.4711 4.2221 0.0000
0.0000 6.0029 2.4778
5.4196 3.4878 5.2620
5.5006 7.6852 0.0000
1.7599 7.6852 0.0000
3.6302 2.1868 0.0000
0.0000 5.5231 5.2620
3.6302 1.7796 5.2620
0.0000 5.9303 0.0000
```

## Properties
- space-group type = Pmmn
- raw formation energy (eV/atom) = -1.02
- volume (Å³/cell) = 589

5.
Below is an optimized crystal structure of VOsRh2, with properties calculated at the PBE level.

Structure (POSCAR):
```
VOsRh2
1.0
3.8599 0.0000 0.0000
0.0000 3.7951 0.0000
0.0000 0.0000 3.7951
Rh V Os
2 1 1
Cartesian
0.0000 0.0000 1.8975
0.0000 1.8975 0.0000
1.9300 0.0000 0.0000
1.9300 1.8975 1.8975
```

## Properties
- DOS(E_F) (states/eV per atom) = 0.849
- space-group type = P4/mmm
- volume (Å³/cell) = 56
- formation energy (eV per atom) = -0.26

6.
Below is an optimized crystal structure of Cu2SbPdS4, with properties calculated at the PBE level.

Structure (POSCAR):
```
Cu2SbPdS4
1.0
-4.5348 2.9888 -0.9095
-3.0819 -4.5384 0.4785
3.3236 1.6683 5.5682
S Cu Pd Sb
4 2 1 1
Cartesian
1.6375 1.0540 4.0017
-4.3208 1.4378 0.8847
-3.5609 -2.4990 1.6106
-2.3418 0.2444 3.7765
-1.7833 -1.8224 2.9162
-2.5098 1.9412 2.2222
-0.0001 0.0001 0.0007
-3.8085 -0.7745 -0.2134
```

## Properties
- DOS(E_F) (states/eV per atom) = 0.624
- space-group type = I-42m
- raw formation energy (eV/atom) = -0.16
- volume (Å³/cell) = 165

7.
Below is an optimized crystal structure of MnCdTc, with properties calculated at the PBE level.

Structure (POSCAR):
```
MnCdTc
1.0
-0.3495 0.3436 -4.1852
1.0794 -3.2335 -2.4770
-2.9751 -2.1678 -2.0508
Mn Tc Cd
1 1 1
Cartesian
-1.6839 -3.7933 -6.5347
0.0000 0.0000 0.0000
-1.1226 -2.5289 -4.3565
```

## Properties
- DOS(E_F) (states/eV per atom) = 0.445
- space-group type = F-43m
- volume (Å³/cell) = 53
- formation energy (eV per atom) = 0.67

8.
Below is an optimized crystal structure of Ti2TcGe3, with properties calculated at the PBE level.

Structure (POSCAR):
```
Ti2TcGe3
1.0